Connections between kids’ media use and body image
Explore research findings about ways that media use can affect the health and wellbeing of young people
Think about all the media messages that you encounter every day – including those from sources that you seek out (such as websites, television programs, music and social media) and those that come to you (such as advertisements embedded within internet sites or the magazines you read). Chances are that you come across words and images that you find to be positive, entertaining, uplifting and educational. It’s also likely that you encounter messages that portray people in limiting, unrealistic, hurtful and stereotypical ways – all of which can influence how we think about ourselves and others.
While some of us may be able to think about and navigate negative media messages in healthy ways, studies have shown that these kinds of messages can be damaging to the development and health of children and adolescents. A 2015 report from Common Sense Media provided an extensive review of research about the effects of traditional and digital media on the body image of young people. The term “body image” describes how we think, feel and act toward our bodies, and there are strong connections between body dissatisfaction and mental health problems such as eating disorders and depression. The Common Sense Media report looked at connections between the rising rates of body dissatisfaction of children and teens and the unrealistic appearance ideals that are increasingly prevalent in media.
### Materials data from another source follow
=====
Record 1
# LiCaGa4Pt2
Theoretical powder XRD pattern, CuKα. Input: a crystal structure in Alexandria, relaxed with GGA-PBE.
Intensities are scaled so that the largest is 1000.

Principal peaks in the range 2θ from 10° to 90°, sorted by position:
- 2θ = 10.04°, I = 432, (0 0 3)
- 2θ = 20.16°, I = 530, (0 0 6)
- 2θ = 24.80°, I = 616, (0 1 2)
- 2θ = 29.30°, I = 414, (0 1 5)
- 2θ = 36.33°, I = 658, (0 1 8)
- 2θ = 41.94°, I = 1000, (1 1 0)
- 2θ = 44.88°, I = 515, (0 1 11)
- 2θ = 46.96°, I = 362, (1 1 6)
- 2θ = 63.10°, I = 187, (2 0 11)
- 2θ = 78.68°, I = 198, (1 2 11)

Structural model:
a = 4.3083 Å, b = 4.3083 Å, c = 26.4217 Å
α = 90.00°, β = 90.00°, γ = 120.00°
Space group R-3m (No. 166, hexagonal axes)
Unique sites:
1 Li 0.0000 0.0000 0.0000
2 Ca 0.0000 0.0000 0.5000
3 Ga 0.0000 0.0000 0.0983
4 Ga 0.0000 0.0000 0.3700
5 Pt 0.0000 0.0000 0.2665



Record 2
# Li2CaGa2Sn2
Theoretical powder XRD pattern, CuKα. Input: a crystal structure in Alexandria, relaxed with GGA-PBE.
Intensities are scaled so that the largest is 1000.

Principal peaks in the range 2θ from 10° to 90°, sorted by position:
- 2θ = 20.38°, I = 329, (0 0 6)
- 2θ = 26.56°, I = 1000, (1 0 4)
- 2θ = 33.17°, I = 279, (1 0 7)
- 2θ = 39.94°, I = 668, (1 1 0)
- 2θ = 41.55°, I = 334, (1 0 10)
- 2θ = 44.61°, I = 216, (0 1 11)
- 2θ = 45.24°, I = 263, (1 1 6)
- 2θ = 48.61°, I = 194, (0 2 4)
- 2θ = 58.97°, I = 158, (0 2 10)
- 2θ = 64.66°, I = 166, (2 1 4)

Structural model:
a = 4.5148 Å, b = 4.5148 Å, c = 26.1472 Å
α = 90.00°, β = 90.00°, γ = 120.00°
Space group R-3m (No. 166, hexagonal axes)
Unique sites:
1 Li 0.0000 0.0000 0.1433
2 Ca 0.0000 0.0000 0.0000
3 Ga 0.0000 0.0000 0.4497
4 Sn 0.0000 0.0000 0.2577



Record 3
# CaMg6Ga
Theoretical powder XRD pattern, CuKα. Input: a crystal structure in Alexandria, relaxed with GGA-PBE.
Intensities are scaled so that the largest is 1000.

Principal peaks in the range 2θ from 10° to 90°, sorted by position:
- 2θ = 14.82°, I = 182, (0 0 2)
- 2θ = 32.33°, I = 297, (0 2 2)
- 2θ = 34.77°, I = 572, (1 0 4)
- 2θ = 35.15°, I = 397, (2 0 0)
- 2θ = 36.93°, I = 1000, (1 2 2)
- 2θ = 48.50°, I = 181, (2 2 2)
- 2θ = 54.62°, I = 185, (0 2 6)
- 2θ = 64.24°, I = 197, (3 2 2)
- 2θ = 66.63°, I = 167, (2 2 6)
- 2θ = 70.46°, I = 152, (1 4 4)

Structural model:
a = 5.106 Å, b = 6.248 Å, c = 11.958 Å
α = 90.00°, β = 90.00°, γ = 90.00°
Space group Amm2 (No. 38)
Unique sites:
1 Ca 0.000 0.000 0.000
2 Mg 0.000 0.248 0.745
3 Mg 0.500 0.000 0.164
4 Mg 0.500 0.000 0.633
5 Mg 0.500 0.246 0.397
6 Ga 0.000 0.000 0.467



Copy entry 1 word for word.
# LiCaGa4Pt2
Theoretical powder XRD pattern, CuKα. Input: a crystal structure in Alexandria, relaxed with GGA-PBE.
Intensities are scaled so that the largest is 1000.

Principal peaks in the range 2θ from 10° to 90°, sorted by position:
- 2θ = 10.04°, I = 432, (0 0 3)
- 2θ = 20.16°, I = 530, (0 0 6)
- 2θ = 24.80°, I = 616, (0 1 2)
- 2θ = 29.30°, I = 414, (0 1 5)
- 2θ = 36.33°, I = 658, (0 1 8)
- 2θ = 41.94°, I = 1000, (1 1 0)
=====
Considering the amount of time that young people spend with media, parents and other adults who care about kids may be drawn to learning more about the report’s findings and recommendations, such as the following:
- How people think about their bodies is something they learn, and this learning is influenced by a variety of factors, including our individual characteristics, families, cultural groups, peers and media sources. Kids (and adults!) learn body image by comparing themselves to others and by observing and listening to role models. They may also be influenced by the many media messages that promote unrealistic, idealized and stereotypical body types – depictions that they may come to believe are normal and socially expected. This learning starts very young, and studies have shown that children as young as 5 express dissatisfaction with their bodies and are aware of ways to control body size and appearance.
- A great deal of research has looked at ways that traditional media sources can influence body image and behavior. These types of media (TV, movies, music, magazines and advertising) are called “traditional” because they existed before the Internet. Research shows that media messages that promote unrealistic body types are very prevalent in traditional media. For girls and women, these portrayals often emphasize a thin and highly sexualized ideal, which means that their attractiveness and value are based on sexual appeal at the exclusion of other kinds of characteristics. For boys and men, these media portrayals have increasingly focused on ideals of fitness and muscularity – often to an extreme degree. Many studies have shown connections between the amount of time that girls and women spend with media and increases in their body concerns and appearance-oriented behaviors. While there has been less research focused on the media use of boys and men, some studies have identified connections between men’s exposure to unrealistic media ideals and their body dissatisfaction.
- While there has been far less research about connections between body image and digital and social media, it’s important to keep in mind that kids are using digital devices (such as smartphones and tablets) to access traditional media at growing rates. This means that unrealistic and idealized messages that originate in “offline” media sources like TV are carried into online digital spaces. Young people have reported that watching TV is their most common and highest rated media activity no matter what kind of technology they’re using to access it. Many online sites – including those where people access TV programs – gather data about users and then target users with ads that are based on demographic assumptions. As a result, girls and women might see more online ads that promote weight loss programs and beauty products, while boys and men might be targeted with ads related to fitness and dietary supplements designed to increase muscle mass.
- The report stressed that more research on media and body image is needed, especially related to groups that are underrepresented or missing from the current body of research – young children, boys and men, youth of color, and youth who are lesbian, gay, bisexual and transgender. The report also called for more research focused on body image and digital and social media, while keeping in mind what young people tell us about the value of their social media experiences. For example, a 2012 report provided by Common Sense Media indicated that teens report that using social media has more positive than negative effects on their social and emotional wellbeing.
Many additional findings and recommendations are included in the Common Sense Media report on media and body image, as well as a listing of research studies on which the report is based. One of the approaches mentioned in the report with potential for addressing these issues is media literacy. Developing a positive body image is essential to the health and wellbeing of children and adolescents, and it’s helpful for kids (and adults!) to think critically about media messages that promote unrealistic and limiting portrayals of bodies. Through opportunities to build media literacy skills, young people can explore, deconstruct and challenge these unhealthy messages. Many media literacy scholars stress that parents and others can help young children learn to analyze and evaluate media messages, creating a foundation of skills that can guide their media experiences throughout their development.
Michigan State University Extension provides a variety of programs and resources related to the positive health and development of children and adolescents. Among these is an initiative called Be SAFE: Safe, Affirming and Fair Environments, which includes a curriculum that has a focus on helping early adolescents become critical consumers of media.